Excerpt
~~~
Here is a cluster of 6 separate species, C11H21N5O12 in total at a distorted geometry from the Open Molecules 2025 dataset. Energies are from the ωB97M-V functional and the def2-TZVPD basis.

ORCA input file:
```
! RIJCOSX wB97M-V def2-TZVPD def2/J DEFGRID3
* xyz 0 1
C 0.1325 1.3042 4.5124
C 0.5183 0.2670 3.9841
C 0.6726 -1.1523 3.3299
C 2.1545 -1.5433 2.9453
O 2.0359 -2.9952 2.7752
C 0.8418 -3.5266 3.3646
O 0.3433 -4.5959 3.1348
C 0.4348 -2.3614 4.3739
H -0.4440 2.1203 5.0463
H -0.0420 -1.3775 2.4777
H 2.8404 -1.4664 3.8545
H 2.7079 -0.9659 2.1500
H -0.6181 -2.3008 4.7615
H 1.2996 -2.3705 5.1019
C -1.9118 5.3223 3.7303
N -1.4216 4.2316 4.6129
O -2.0251 3.1700 4.5845
O -0.4502 4.4755 5.3023
H -2.7769 4.9636 3.1781
H -2.1811 6.1631 4.3669
H -1.1016 5.5837 3.0517
C 2.4663 -2.2068 -0.8418
N 2.3129 -0.8162 -1.3474
O 3.3058 -0.1114 -1.3670
O 1.1973 -0.4799 -1.7078
H 3.5040 -2.3656 -0.5592
H 1.8108 -2.3176 0.0208
H 2.1785 -2.8818 -1.6460
C -1.3079 -0.5902 -3.1966
N -2.6983 -0.8096 -3.6773
O -3.0670 -1.9648 -3.8249
O -3.3699 0.1813 -3.8895
H -0.8311 -1.5555 -3.0507
H -0.7851 -0.0127 -3.9568
H -1.3673 -0.0441 -2.2575
C -3.6404 -2.5911 -6.7573
N -2.6653 -2.4923 -7.8761
~~~

Activity
Return everything above word for word.

Response
Here is a cluster of 6 separate species, C11H21N5O12 in total at a distorted geometry from the Open Molecules 2025 dataset. Energies are from the ωB97M-V functional and the def2-TZVPD basis.

ORCA input file:
```
! RIJCOSX wB97M-V def2-TZVPD def2/J DEFGRID3
* xyz 0 1
C 0.1325 1.3042 4.5124
C 0.5183 0.2670 3.9841
C 0.6726 -1.1523 3.3299
C 2.1545 -1.5433 2.9453
O 2.0359 -2.9952 2.7752
C 0.8418 -3.5266 3.3646
O 0.3433 -4.5959 3.1348
C 0.4348 -2.3614 4.3739
H -0.4440 2.1203 5.0463
H -0.0420 -1.3775 2.4777
H 2.8404 -1.4664 3.8545
H 2.7079 -0.9659 2.1500
H -0.6181 -2.3008 4.7615
H 1.2996 -2.3705 5.1019
C -1.9118 5.3223 3.7303
N -1.4216 4.2316 4.6129
O -2.0251 3.1700 4.5845
O -0.4502 4.4755 5.3023
H -2.7769 4.9636 3.1781
H -2.1811 6.1631 4.3669
H -1.1016 5.5837 3.0517
C 2.4663 -2.2068 -0.8418
N 2.3129 -0.8162 -1.3474
O 3.3058 -0.1114 -1.3670
O 1.1973 -0.4799 -1.7078
H 3.5040 -2.3656 -0.5592
H 1.8108 -2.3176 0.0208
H 2.1785 -2.8818 -1.6460
C -1.3079 -0.5902 -3.1966
N -2.6983 -0.8096 -3.6773
O -3.0670 -1.9648 -3.8249
O -3.3699 0.1813 -3.8895
H -0.8311 -1.5555 -3.0507
H -0.7851 -0.0127 -3.9568
H -1.3673 -0.0441 -2.2575
C -3.6404 -2.5911 -6.7573
N -2.6653 -2.4923 -7.8761